Next, start at the top of the listing further down and type out each line, ending with the one that has "0.780".

........
The following is a simulated powder XRD pattern of VSnO4. It was derived from a crystal structure in Alexandria, relaxed with PBE+U, using copper Kα.

Structural model:
Cell: 4.6670 4.6670 3.1509 Å, 90.00 90.00 90.30°
Fractional coordinates of all 6 atoms:
V (0.0000, 0.0000, 0.0000)
Sn (0.5000, 0.5000, 0.5000)
O (0.1858, 0.8142, 0.5000)
O (0.2931, 0.2931, 0.0000)
O (0.7069, 0.7069, 0.0000)
O (0.8142, 0.1858, 0.5000)

Most intense lines, 10° ≤ 2θ ≤ 90°, low angle first:
2theta	Rel. int.
19.0	387
26.9	703
27.1	650
34.3	1000
38.6	240
39.6	263
43.3	144
52.5	479
52.7	429
55.9	123
65.7	212
67.1	287

=====

Starting from a cell relaxed with PBE+U, the X-ray powder pattern of CaNiO3 was computed for Cu Kα.

Largest 12 diffraction maxima, sorted by position, 10 to 90 degrees two-theta:
d (Å), two_theta, Rel. int.
4.499, 19.7, 100.0
3.279, 27.2, 16.7
2.598, 34.5, 64.1
2.114, 42.8, 46.3
2.036, 44.5, 42.0
1.761, 51.9, 8.9
1.700, 53.9, 9.0
1.640, 56.1, 39.5
1.500, 61.9, 10.9
1.386, 67.6, 26.1
1.299, 72.8, 15.6
1.107, 88.3, 10.6

Structure:
Unit cell a=5.195 b=5.195 c=4.789 alpha=90.00 beta=90.00 gamma=120.00
Fractional positions:
Ca  0.333  0.667  0.000
Ca  0.667  0.333  0.500
Ni  0.000  0.000  0.280
Ni  0.000  0.000  0.780
O  0.159  0.318  0.532
O  0.159  0.841  0.532
O  0.318  0.159  0.032
O  0.682  0.841  0.532
O  0.841  0.159  0.032
O  0.841  0.682  0.032
........

The following is a simulated powder XRD pattern of VSnO4. It was derived from a crystal structure in Alexandria, relaxed with PBE+U, using copper Kα.

Structural model:
Cell: 4.6670 4.6670 3.1509 Å, 90.00 90.00 90.30°
Fractional coordinates of all 6 atoms:
V (0.0000, 0.0000, 0.0000)
Sn (0.5000, 0.5000, 0.5000)
O (0.1858, 0.8142, 0.5000)
O (0.2931, 0.2931, 0.0000)
O (0.7069, 0.7069, 0.0000)
O (0.8142, 0.1858, 0.5000)

Most intense lines, 10° ≤ 2θ ≤ 90°, low angle first:
2theta	Rel. int.
19.0	387
26.9	703
27.1	650
34.3	1000
38.6	240
39.6	263
43.3	144
52.5	479
52.7	429
55.9	123
65.7	212
67.1	287

=====

Starting from a cell relaxed with PBE+U, the X-ray powder pattern of CaNiO3 was computed for Cu Kα.

Largest 12 diffraction maxima, sorted by position, 10 to 90 degrees two-theta:
d (Å), two_theta, Rel. int.
4.499, 19.7, 100.0
3.279, 27.2, 16.7
2.598, 34.5, 64.1
2.114, 42.8, 46.3
2.036, 44.5, 42.0
1.761, 51.9, 8.9
1.700, 53.9, 9.0
1.640, 56.1, 39.5
1.500, 61.9, 10.9
1.386, 67.6, 26.1
1.299, 72.8, 15.6
1.107, 88.3, 10.6

Structure:
Unit cell a=5.195 b=5.195 c=4.789 alpha=90.00 beta=90.00 gamma=120.00
Fractional positions:
Ca  0.333  0.667  0.000
Ca  0.667  0.333  0.500
Ni  0.000  0.000  0.280
Ni  0.000  0.000  0.780